What is Bionicle: Origin-1?
Bionicle: Origin-1 is a fan project that aims to reimagine the rich story and lore of Bionicle from the ground up. Through this endeavor, Bionicle: Origin-1 hopes to offer new stories, new lore, new builds, and more for Bionicle fans to explore and enjoy!
Timeline of the Origin-1 Universe | Bionicle: Origin-1
Hey everyone! This is Pilot, and welcome to yet another Entry in the Origin-1 Codex! This Codex Entry is going to be a running Timeline of the events of Bionicle: Origin-1. It contains all currently released information about the story, and as time goes on, will be periodically updated to accommodate the release of new Codex Entries. The main goal of this Timeline is to organize all information about the Origin-1 Universe into a single place, which I hope is helpful for anyone following the story. Below you’ll find the Timeline itself, along with a quick explanation of the Time System in the Origin-1 Universe. I hope you enjoy it, and be sure to check back for updates to the Timeline!
-Time System-
All dates in the Origin-1 Timeline are based on the time system of the planet, Spherus Magna. A year on Spherus Magna lasts 512 days, with each day lasting 30 hours. This is also true for the Matoran Universe, which had its flow of time adjusted to match that of Spherus Magna.
Spherus Magna was created when the Great Beings used their powers to expand the Origin-1 Universe, birthing a myriad of new worlds in the process. This event is considered “Year 0” in the Origin-1 Timeline. Anything before will be labeled BUE (Before Universal Expansion), and anything after will be labeled AUE (After Universal Expansion).
Below you will find the full timeline of the Origin-1 Universe. This will be updated periodically to include information from new Codex Entries.
-Era of Origins-
In the time before time, the Origin-1 Universe is created by the divine powers of Nehrua. For a time, prosperity is in abundance, but in the face of death, Nehrua sacrifices the Universe to ensure their legacy lives on. From the ashes arise the Great Beings, who expand the Universe to new horizons. This is the origin of the Universe, as we know it today.
Circa Beginning of Time
Existence comes to be, bringing with it a species of god-like creatures known as the Oroborn. These Oroborn soon discover their ability to shape Existence itself and begin experimenting with these powers. For one Oroborn, Nehrua, this experimentation eventually leads them to create an entire Universe. However, this process leaves them severely weakened.
-- The piece is interrupted by data records --
┌──
Li2TlB2Rh5: optimized geometry, PBE-GGA.

Output
- E_form: -0.2850 eV per atom

Cell lengths 9.7306, 9.7306, 2.9341 Å; angles 90.00, 90.00, 90.00 degrees
Space group P4/mbm (No. 127)
Inequivalent atoms, fractional coordinates:
Li (0.1758, 0.3242, 0.0000) (multiplicity 4)
Tl (0.0000, 0.0000, 0.0000) (multiplicity 2)
B (0.1215, 0.6215, 0.0000) (multiplicity 4)
Rh (0.0000, 0.5000, 0.5000) (multiplicity 2)
Rh (0.0719, 0.7711, 0.5000) (multiplicity 8)

* * * * *

Record 1
Material: La4Si2H
Method: DFT, GGA-PBE
State: relaxed

Space group: P2_1/m

Cell: 6.6276 6.6778 8.9128 Å, 90.00 109.57 90.00°
Fractional positions:
La 0.5124 0.4869 0.2625
La 0.0852 0.7500 0.9129
La 0.9148 0.2500 0.0871
La 0.5124 0.0131 0.2625
La 0.9286 0.2500 0.6224
La 0.4876 0.9869 0.7375
La 0.4876 0.5131 0.7375
La 0.0714 0.7500 0.3776
Si 0.7165 0.7500 0.0539
Si 0.2835 0.2500 0.9461
Si 0.2404 0.2500 0.4337
Si 0.7596 0.7500 0.5663
H 0.2631 0.7500 0.1926
H 0.7369 0.2500 0.8074



Record 2
Material: La3Si2H
Method: DFT, GGA-PBE
State: relaxed

Space group: C2/c

Cell: 6.0625 8.5161 7.3651 Å, 106.80 114.30 90.00°
Fractional positions:
La 0.4797 0.2500 0.0000
La 0.5203 0.7500 0.0000
La 0.1636 0.0822 0.3285
La 0.8351 0.4178 0.6715
La 0.1649 0.5822 0.3285
La 0.8364 0.9178 0.6715
Si 0.6674 0.5831 0.3323
Si 0.6648 0.0831 0.3323
Si 0.3352 0.9169 0.6677
Si 0.3326 0.4169 0.6677
H 0.9680 0.7500 0.0000
H 0.0320 0.2500 0.0000



Record 3
Material: La4Si2H
Method: DFT, GGA-PBE
State: relaxed

Space group: I4/mmm

Cell: 4.6560 4.6560 8.9915 Å, 74.99 74.99 90.00°
Site moments in Bohr magnetons follow the coordinates.
Fractional positions:
H 0.0000 0.0000 0.0000  0.00
Si 0.6330 0.6330 0.7340  -0.01
Si 0.3670 0.3670 0.2660  -0.01
La 0.8156 0.8156 0.3689  0.07
La 0.1844 0.1844 0.6311  0.07
La 0.0000 0.5000 0.0000  0.02
La 0.5000 0.0000 0.0000  0.02



Record 4
Material: LaSi2H2
Method: DFT, GGA-PBE
State: relaxed

Space group: I4/mmm

Cell: 4.2472 4.2472 5.0706 Å, 65.24 65.24 90.00°
Fractional positions:
H 0.7500 0.2500 0.5000
H 0.2500 0.7500 0.5000
Si 0.3639 0.3639 0.2722
Si 0.6361 0.6361 0.7278
La 0.0000 0.0000 0.0000



Record 5
Material: La4SiH2
Method: DFT, GGA-PBE
State: relaxed

Space group: I4/mmm

Cell: 5.6262 5.6262 7.4481 Å, 67.81 67.81 90.00°
Fractional positions:
H 0.5774 0.5774 0.8451
H 0.4226 0.4226 0.1549
Si 0.0000 0.0000 0.0000
La 0.7623 0.7623 0.4755
La 0.2377 0.2377 0.5245
La 0.0000 0.5000 0.0000
La 0.5000 0.0000 0.0000



Record 6
Material: La5Si2H
Method: DFT, GGA-PBE
State: relaxed

Space group: Fmm2

Cell: 7.0705 7.0703 6.6073 Å, 122.24 122.24 90.21°
Fractional positions:
La 0.7483 0.2488 0.9970
La 0.2491 0.2491 0.9972
La 0.7481 0.7481 0.9971
La 0.2488 0.7483 0.9970
La 0.7538 0.7538 0.5078
Si 0.2496 0.7494 0.4992
Si 0.7494 0.2496 0.4992
H 0.0298 0.0298 0.0596



Record 7
Material: LaSi2H2
Method: DFT, GGA-PBE
State: relaxed

Space group: P4/mbm

Cell: 7.4864 7.4864 3.0528 Å, 90.00 90.00 90.00°
Fractional positions:
H 0.0892 0.5892 0.5000
H 0.5892 0.9108 0.5000
└──
In time, the Oroborn develop a system to organize an expanding array of Universes. Universes sharing similar characteristics are considered a System, and each Universe in a System is given a unique number based on the order of discovery. The Universe created by Nehrua was the first in its System, so it came to be known as Origin-1.
Circa 1,000,000,000 BUE
The first life begins to appear across numerous worlds in the Origin-1 Universe. Among them are the primitive lifeforms on the planet Orolax, who will eventually evolve into the Orolaxians.
Left weakened from the creation of the Origin-1 Universe, Nehrua realizes they are slowly dying from the might of their own power. Nehrua begins searching for a means of overcoming this obstacle.
Circa 10,000 BUE
- After millions of years, Nehrua concludes there is no solution to their mortality. To ensure their powers live on, Nehrua begins to evaluate the many species that populate the Origin-1 Universe in order to find the optimal inheritor. To aid in their search, Nehrua forges the Aspects of Virtue, which will look for specific traits that Nehrua has deemed desirable. If a species fails to meet these criteria, it will be purged from the Universe.
8,547 BUE
- In their search, Nehrua comes across the Orolaxians, who begin to worship Nehrua as a deity in their religion. In their mind, they must do right by Nehrua if they are to remain in good faith, which places the Orolaxians among the top candidates for Nehrua’s inheritance. Over the next few millennia, Nehrua will become a key pillar of Orolaxian society and culture.
46 BUE
- The newest Orolaxian Emperor, Akeyan is born to replace the former Emperor Kravan. This marks the beginning of a new Age of Orolax.
After more than a billion years spent in their weakened state, Nehrua’s final days are fast approaching. Nehrua is forced to hasten their search, ultimately conducting one final test to decide the inheritor of their power. In this final test, Nehrua unleashes chaos upon the Origin-1 Universe, and whatever is left standing will inherit their power.
For the Orolaxians, Nehrua’s test manifests in the form of a deadly virus called Mulox, meant to exploit the lack of genetic diversity among their species. Highly virulent and dangerous, Mulox is able to reshape its victim into a slave to spread itself further.
Mulox finds its way onto Orolax aboard a mining vessel and begins ravaging the population. Orolax’s Emperors establish strict quarantines to stop the spread which proves to be ineffective. Not long after Mulox’s arrival, the entirety of Orolax becomes consumed by the virus, forcing a small group of survivors to flee the planet. Among them is the last Orolaxian Emperor, Akeyan.
Nehrua’s test concludes, and they inform the Orolaxian survivors that they are the last life in the entire Origin-1 Universe. The Orolaxians each inherit one Element of Nehrua’s power, as well as a series of legendary artifacts called Kanohi to help them focus their abilities. This causes the Orolaxians to be reborn in new forms, which leads them to take on new names as well.
Akeyan receives the Element of Life from Nehrua, as well as the Kanohi Ignika, the Mask of Life. Upon his transformation, Akeyan takes on the name Akirous.
Three other transformed Orolaxians come to be known as Angonce, Crasevous, and Tomidas, who wield the Elements of Space, Entropy, and Gravity respectively.
After his transformation, an Orolaxian renames himself Artakha.
With their mission complete, Nehura can finally die in peace.
The surviving Orolaxians use their newfound powers to expand the Origin-1 Universe, leading to the creation of new worlds. Among them is the planet, Spherus Magna, which is home to a species called the Agori.
The Orolaxians begin aiding the Agori with new technology to advance their civilization, which earns them a position as the rulers of Spherus Magna. It’s here the Orolaxians become the Great Beings.
2,958 AUE
- Akirous decides to share a discovery about his power with Angonce, involving the transference of Life Force between bodies or objects. Akirous theorizes that if one could learn to manipulate their own Life Force, they could use this to achieve a level of immortality.
-Era of Consequence-
The discovery of a powerful substance leads to war on the planet, Spherus Magna. As the planet’s inhabitants become divided, so too do its leaders, the Great Beings. Friends become foes as old differences are brought to the surface, dooming Spherus Magna to destruction. The course of the Origin-1 Universe has been altered forever, and everyone will have to face the consequences.
2,963 AUE
A powerful substance originating from the core of Spherus Magna rises to the surface of the planet. This forms a spring within the Northern Frost, a region controlled by the Ice Tribe. The Ice Tribe begins to study the substance and discovers its ability to transform anything it touches. The Element Lord of Ice schemes to use the substance to create more powerful warriors, which will give him the ability to conquer all of Spherus Magna.
The other tribes become wary of the Ice Tribe, as well as each other, and attempt to claim the substance for themselves. These disputes quickly explode into a full-on conflict, marking the beginning of the Core War.
The Great Beings obtain a sample of the substance, naming it Energized Protodermis. Through their studies, the Great Beings discover that Energized Protodermis is vital to the stability of Spherus Magna. If the tribes continue harvesting the substance, it could lead to immense consequences for the planet.
2,964 AUE
The Great Beings become divided on how to address the Core War. Some seek to assert greater control over the tribes to end the conflict forcefully, while others wish to let it play out and repair Spherus Magna afterward. Being the leader of the Great Beings, the decision is ultimately left up to Akirous.
Crasevous, a staunch supporter of controlling the tribes, warns Akirous about the potential ramifications the Core War could have on Spherus Magna. Crasevous envisions a dark future for Spherus Magna if nothing is done to stop it, and views authoritarian rule over the Agori as the only way to avoid it. Akirous disagrees, wishing for the Agori to remain free.
Akirous decides to let the Core War play out, angering Crasevous, who then stabs him in the back. However, Akirous miraculously survives this betrayal by transferring his Life Force into his Mask. The remaining Great Beings flee their Fortress.
Crasevous’ betrayal of Akirous leads to a schism between the Great Beings, who go on to form two factions called the Regime and the Collective. Crasevous becomes the leader of the Regime, while Artakha becomes the leader of the Collective. As each holds a separate vision for the future of Spherus Magna, both factions come to view each other as mortal enemies.
Angonce sides with the Collective.
Tomidas sides with the Regime.
2,965 AUE
Remembering the discovery Akirous had shared with him, Angonce refuses to accept Akirous’ death and returns to the Fortress on the anniversary of his death. There Angonce is intercepted by Tomidas, who attempts to steal the Kanohi Ignika containing Akirous’ Life Force. To stop him, Angonce is forced to destroy the Kanohi Ignika, causing a blinding explosion. Akirous transfers his Life Force once again, this time into Angonce’s sword, while Tomidas absorbs the powers of the Kanohi Ignika. Angonce escapes the Fortress with his newly transformed blade.
Tomidas becomes cursed with an untamed form of the Ignika’s powers, causing everything he touches to come to life. This quickly drives him to insanity.
Through visions, Angonce and Akrious are able to communicate, affirming that Akirous had in fact survived.
Angonce renames his sword The Akeyan, after Akirous’ Orolaxian name. In addition to acting as a vessel for Akirous’ Life Force, he can also channel his powers through the blade.
2,976 AUE
The Regime begins using the allure of advanced and powerful technology to gain control of the tribes on Spherus Magna. They hope to obtain control over all the tribes in order to force an end to the Core War.
Left impoverished by the Core War, the Sand Tribe becomes the first to side with the Regime. One among them is chosen to receive physical enhancements using the Regime’s technology.
The Collective wishes to keep the tribes out of the Regime’s control and begins pursuing a means of countering them.
2,977 AUE
To battle the growing influence of the Regime, Angonce proposes the creation of biomechanical war machines to defend the remaining tribes on Spherus Magna. The other members of the Collective support this idea.
Using Angonce’s proposal, the Collective launches Project: Toa and begin work on an initial prototype.
2,979 AUE
Following the creation of several prototypes, the first Toa is completed by the Collective. They begin conducting tests with this Toa, who they discover to be far stronger than any Agori. Angonce names this Toa, Helryx.
Helryx begins to be sent on operations all across Spherus Magna. Judging from her performance on these missions, the Collective deems Project: Toa a success.
Someone pasted materials data at this point:
'''
{
  "formula": "Ga2SbPRu",
  "functional": "PBEsol",
  "state": "optimized geometry",
  "lattice_angstrom": [[-3.4959, -2.6223, -1.0386], [2.1584, -1.4225, -3.6734], [2.0788, -3.8448, 2.7103]],
  "species": ["Sb", "Ga", "Ga", "Ru", "P"],
  "fractional_positions": [[0.0000, 0.0000, 0.5000], [0.5000, 0.0000, 0.0000], [0.0000, 0.5000, 0.0000], [0.5000, 0.5000, 0.5000], [0.0000, 0.0000, 0.0000]],
  "raw_formation_energy_ev_per_atom": 0.9798,
  "total_magnetization_mub_per_fu": 1.589
}


DFT (PBE) results for NaTlAgSn after structural relaxation.

SG: F-43m (216)
distance to the lowest polymorph of the same formula: 0 meV per atom
formation enthalpy at 0 K: -0.02 eV per atom

Lattice parameters (Å, degrees): 7.2905 7.2905 7.2905 90.00 90.00 90.00
Sites, in units of the cell vectors:
Na 0.0000 0.0000 0.0000
Na 0.0000 0.5000 0.5000
Na 0.5000 0.0000 0.5000
Na 0.5000 0.5000 0.0000
Tl 0.2500 0.2500 0.2500
Tl 0.2500 0.7500 0.7500
Tl 0.7500 0.2500 0.7500
Tl 0.7500 0.7500 0.2500
Ag 0.0000 0.0000 0.5000
Ag 0.0000 0.5000 0.0000
Ag 0.5000 0.0000 0.0000
Ag 0.5000 0.5000 0.5000
Sn 0.2500 0.2500 0.7500
Sn 0.2500 0.7500 0.2500
Sn 0.7500 0.2500 0.2500
Sn 0.7500 0.7500 0.7500


[1]
The following is a DFT calculation (PBE) of a relaxed structure of NiB2MoW.

a = 4.5239 Å, b = 4.5239 Å, c = 4.5239 Å
α = 138.62°, β = 119.19°, γ = 76.23°
Closest atoms and distances in Å follow each position.
Positions (direct):
B (0.7990, 0.5000, 0.2990)  1 B 1.84
B (0.2009, 0.5000, 0.7010)  1 B 1.84
Mo (0.8000, 0.8000, 0.0000)  6 B 2.33-2.54
Ni (0.5000, 0.0000, 0.5000)  4 B 2.10
W (0.2000, 0.2000, 0.0000)  6 B 2.33-2.54

Size of the total moment   0.001 Bohr magnetons per cell
Calculated total energy   -45.036 eV/f.u.
Volume   10.42 Å³/atom

***

[2]
The following is a DFT calculation (PBE) of a relaxed structure of YNiBMo.

a = 4.3260 Å, b = 4.3260 Å, c = 4.3260 Å
α = 60.00°, β = 60.00°, γ = 60.00°
Closest atoms and distances in Å follow each position.
Positions (direct):
B (0.0000, 0.0000, 0.0000)  4 Ni 2.65, 4 Mo 2.65
Mo (0.2500, 0.2500, 0.2500)  4 Y 2.65, 4 B 2.65
Ni (0.7500, 0.7500, 0.7500)  4 B 2.65, 4 Y 2.65
Y (0.5000, 0.5000, 0.5000)  4 Mo 2.65, 4 Ni 2.65

Size of the total moment   0.094 Bohr magnetons per cell
Energy relative to the lowest polymorph listed for this composition   0.424 eV/atom
Volume   14.31 Å³/atom

***

[3]
The following is a DFT calculation (PBE) of a relaxed structure of YNiBMo.

a = 4.3816 Å, b = 4.3816 Å, c = 4.3816 Å
α = 60.00°, β = 60.00°, γ = 60.00°
Closest atoms and distances in Å follow each position.
Positions (direct):
B (0.0000, 0.0000, 0.0000)  4 Mo 2.68, 4 Y 2.68
Mo (0.7500, 0.7500, 0.7500)  4 Ni 2.68, 4 B 2.68
Ni (0.5000, 0.5000, 0.5000)  4 Mo 2.68, 4 Y 2.68
Y (0.2500, 0.2500, 0.2500)  4 Ni 2.68, 4 B 2.68

Size of the total moment   1.211 Bohr magnetons per cell
Energy relative to the lowest polymorph listed for this composition   0.000 eV/atom
Volume   14.87 Å³/atom

***

[4]
'''
The Collective begins experiments to create an entire team of Toa with the ability to cooperate and work together. This leads to the creation of the first Toa Team, who soon after their completion, are massacred by a high-ranking warrior of the Regime. The only survivor of this Toa Team is its leader.
2,989 AUE
- Now a veteran of the Core War, Helryx is reassigned to the Toa Ordahn, much to her own dismay. This Toa Team consists of 5 members, including Helryx, Hypanthus, Eronix, Rohtun, and Arvanis. Hypanthus is given the role of Team leader.
3,002 AUE
The Collective realizes that Spherus Magna is doomed to be destroyed by the Core War, and begin making preparations for the eventual repair of the planet. The Collective looks to Angonce for ideas, who proposes the creation of a pair of massive automatons that will journey across the stars to find the key to repairing Spherus Magna. With this, the Collective launches the Great Spirit Project.
To aid in the construction of the Great Spirit Robots, the Great Beings develop small construction drones called Proto-Matoran. Unlike Toa, these Proto-Matoran are purely mechanical and lack any measure of sentience.
Underground factories are built to produce these Proto-Matoran en mass.
3,006 AUE
As construction on the Great Spirit Robots continues, concerns arise regarding the inner stability of the Robots. Angonce’s solution is to place Matoran inside the Robots to sustain them, which he then follows with the idea of creating a society inside the Robots. In addition to finding a way to repair Spherus Magna, the Collective could also study this society and learn from it.
The Collective updates their plans for the Great Spirit Project to include the foundations of this new society, which Angonce names the Matoran Universe.
To realize this society, the Collective begins experimenting to create more advanced Matoran.
3,007 AUE
The design of the new, more advanced Matoran is finalized by the Collective. Using many ideas first tested in Project: Toa, the Matoran are made to be fully sentient creatures with a connection to the same Elemental Types as the Toa. All Matoran are given the ability to transform into Toa, which unlocks their innate Elemental Abilities.
Many of the underground factories built to produce Proto-Matoran are retrofitted to accommodate the updated Matoran Design. New factories are also constructed for this purpose as well.
3,009 AUE
- Feeling their time is running out, the construction of a second Great Spirit Robot is canceled. Its resources are diverted to completing the first Great Spirit Robot.
3,012 AUE
- Construction on the Great Spirit Robot concludes, and the Proto-Matoran are retired for good.
3,014 AUE
The Collective realizes the Great Spirit Robot needs a failsafe in case something goes wrong, so Artakha forges a new version of the Kanohi Ignika. Akirous’ Life Force is transferred from The Akeyan into this Mask, which then gets placed within the Southern Continent of the Matoran Universe.
The Kanohi Vahi, the Mask of Time, is split into fragments in the form of 6 Great Kanoka Disks.
Sensing the imminent destruction of Spherus Magna, the Matoran Universe is brought online, and any remaining Toa or Matoran are instructed to enter the Great Spirit Robot. The Collective then orders the Great Spirit Robot to depart Spherus Magna, beginning its mission to repair the planet.
After entering the Matoran Universe, the remaining members of the Toa Ordahn arrive on the Island of Artakha.
All remaining Toa from the Core War are designated members of the Hand of Artakha: a temporary organization created to establish society within the Matoran Universe.
Having become too destabilized, Spherus Magna gets split apart in an event known as the Shattering. Spherus Magna is now comprised of 3 fragments, the desert planet of Bara Magna, the jungle moon of Bota Magna, and the ocean moon of Aqua Magna.
-Era of Hope-
In wake of Spherus Magna’s destruction, the mystical Great Spirit Robot becomes its final hope… but hope is fragile. Within the Robot lies the beginnings of a new Universe, overrun with evil that threatens the sanctity of its mission. If hope is to remain, a new generation of heroes will need to step up to confront the dangers plaguing the Universe. Will they succeed, or will the Universe fall into Cataclysm?
3,015 AUE
- The Toa Ordahn are sent to the northern regions of the Matoran Universe by the Hand of Artakha. For a time, they oversee construction in the region and hide the 6 Great Kanoka Disks within the City of Metru Nui.
3,017 AUE
- The Toa Ordahn are called back to the Island of Artakha.
3,022 AUE
Having accomplished their goal, the Hand of Artakha disbands.
Helryx departs, while Hypanthus and Eronix remain on the Island of Artakha.
3,023 AUE
To fill the void left by the Hand of Artakha, Helryx founds a new faction called the Order of Mata Nui and begins recruiting agents from all over the Matoran Universe. Helryx restricts Toa from joining the Order due to conflicts with the Toa Code.
Alongside the first agents of the Order of Mata Nui, Helryx establishes the faction’s headquarters on the Island of Daxia.
3,367 AUE
- Kestora aboard the Red Star become dissatisfied with the performance and durability of the current Matoran Design and create a new one to replace it. All Matoran born after this transition are made using this Kestoran Design.
-Era of Cataclysm-
Their worst fears came to pass. The Great Spirit was cast into a deep slumber, and the Universe fell into Cataclysm. Now, an elite group of Toa are left to pick up the pieces, as a dark Shadow seeks to usurp the Great Spirit as ruler of the Matoran Universe. In time, new allies will join the fight to defeat this evil and reawaken the Great Spirit.
-Era of Shadows-
After all they had done, the Toa thought themselves victorious. Little did they know, this was only the beginning. The Shadow has taken control of the Universe, banishing the Great Spirit and assuming control over his Robot body. Now the Great Spirit and Toa alike must wage one final battle to secure the future of Spherus Magna and the Origin-1 Universe.
-Era of Reformation-
Spherus Magna has been reformed, inviting the Great Beings to return to finish what they started. As old conflicts are reignited, chaos erupts across Spherus Magna, which threatens to tear the planet apart yet again. Sides are taken and battles are fought, but a precious few will become disillusioned and embark on a journey to discover the truth at the heart of the Universe. May they succeed in their quest, or die trying…
Theme Music
A series of Theme Songs have been chosen to accompany each Era in the Origin-1 Universe. Check out the full playlist using the link below!
Thanks for checking out the Origin-1 Timeline! I hope you enjoyed, and be sure to check back regularly for any changes or new additions!